... and welcome to our first newsletter for 2024.
As the year begins, our staff have been hard at work preparing our Draft Long-term Plan. Soon we’ll be coming to you with the proposed programme of work looking 10 years ahead, your opportunity to influence our future planning.
This is a really important chance to share your thoughts on how rates are spent, and what they should go towards. We value your input into the development of our Long-term Plan, so please take the time to tell us what you think.
What are your key environmental priorities, your public transport needs? We are looking to provide improved public transport where it is feasible in the region — what do you think?
How should work be funded? What is fair, and what are the ‘must haves’ vs the ‘nice to haves’? ORC is responsible for managing Otago’s environment and how people use our precious land and water resources. We are unashamedly environmentally focused — we can’t afford not to be, and we all need to do our part. We want your views on how ORC might support significant environmental funding.
The time is coming from late March to get involved and participate in our LTP process. We are looking forward to hearing your thoughts and talking with you. So, watch out for opportunities to give your feedback and meet with Councillors. A special edition of this newsletter in March will explain what you need to know.
• Molecular data that have nothing to do with the text:
{"formula": "C5H12N2O", "method": "the ωB97M-V functional and the def2-TZVPD basis", "e_tot_ha": -382.24875, "orbital_gap_ev": [7.13, 7.47], "relative_energy_kj_mol": 666.3, "elements": ["C", "C", "C", "C", "C", "N", "N", "O", "H", "H", "H", "H", "H", "H", "H", "H", "H", "H", "H", "H"], "xyz": [[-0.95586, 0.78919, 0.99383], [-2.15303, 0.77575, -0.11663], [-1.61996, -1.33604, -0.57511], [2.22124, -0.91305, 0.77056], [1.41064, 0.69882, -0.96552], [0.00477, -0.24284, 0.86207], [1.20797, -0.02718, 0.32539], [-2.54825, -0.59606, -0.06943], [-0.44399, 1.74198, 0.79245], [-1.54295, 0.59041, 1.96455], [-2.93074, 1.42147, 0.22037], [-1.79171, 1.30526, -1.03811], [-1.06562, -1.02498, -1.53813], [-1.73145, -2.37595, -0.21068], [2.06213, -1.32579, 1.74008], [2.33762, -1.63142, -0.08848], [3.09929, -0.36256, 0.76006], [0.69416, 0.29563, -1.60175], [1.35707, 1.77436, -0.93970], [2.38869, 0.44299, -1.28580]], "forces_ev_per_a": [[-1.1431, 0.2795, -0.8071], [1.8519, 0.1605, 1.5653], [3.1929, -2.0623, -0.8654], [-0.4162, -1.0010, -2.7012], [0.3188, -0.8691, 2.4564], [-1.0702, -1.7025, -0.2152], [-1.1328, 2.6122, 0.1924], [-1.8150, 3.2454, -0.8205], [-0.3903, 0.2447, 1.0456], [1.2194, 0.9563, -1.1595], [-0.9184, 0.0385, 0.5310], [-0.2023, -1.6074, -0.0040], [-1.2213, -0.7605, 1.5234], [0.5256, 0.6201, -0.7997], [-0.4733, -0.4055, 0.3443], [0.1943, -0.4739, 1.2088], [2.0682, 0.9522, 0.3064], [-1.2164, -0.4574, -1.6300], [-0.2718, 0.4646, 0.4025], [0.9001, -0.2344, -0.5734]], "mulliken_charge": [-0.536, -0.475, -0.391, -0.960, -1.005, -0.560, 0.378, -0.328, 0.379, 0.328, 0.420, 0.266, 0.218, 0.292, 0.325, 0.308, 0.345, 0.321, 0.258, 0.419]}

=====
Kā mihi,
We recently got together with Otago Fish and Game to remove brook trout from Pisgah Creek, a tributary of the Kye Burn to the east of Ranfurly township — giving threatened native galaxiids a fighting chance to boost their numbers. The trout were relocated to Coalpit Dam using a fish transportation unit, and, just quietly, there were some decent-sized ones too — happy news for anglers. Kye Burn farmers have been right behind this work which will hopefully protect the dwindling galaxiid species from extinction.
Our annual ECO Fund round for community projects opens on 1 March, with a boost to available funds meaning it’s now around $900,000.
This year the combined ECO Fund and four Incentives Funds is joined by a one-off, large-scale biodiversity fund — targeting projects in the range of $50,000–$150,000. The funding is our way of partnering with local communities throughout Otago to improve the environment.
Even if you have applied before, it’s a good idea to review the ECO Fund information on our website and get in touch with the ECO Fund team to discuss potential applications by emailing ecofund@orc.govt.nz or calling 0800 474 082.
A stick! But make sure that's all your dog fetches this summer — keep an eye out for toxic algae.
Toxic algae, or cyanobacteria, thrive in warm, nutrient-rich conditions and when river flows are lower than normal — many of these blooms are fairly common at this time of year.
In lakes and ponds, it looks like pea soup, and in rivers, it looks like black-brown tar on rocks and in mats on the riverside. If in doubt, stay out! If ingested, toxic algae can cause significant illness and can be fatal for dogs, who can be particularly attracted to the smell of algal mats from rivers.
Signs that a dog may have consumed toxic algae include lethargy, muscle tremors, fast breathing, twitching, paralysis and convulsions, and should be treated as an emergency and referred to a vet immediately. Any human experiencing a reaction from contact with toxic algae should seek urgent medical attention.
Reba enjoys a dip in the water
Dart River near Glenorchy
The latest round of ORC’s draft Land and Water Regional Plan (LWRP) was completed on 6 November, with 573 people and organisations from across the region filling in feedback forms.
ORC’s Manager Policy and Planning, Fleur Matthews, was extremely pleased with the 573 responses, up a whopping 590% on the previous round’s of 83.
Altogether, over a two-month period, there were 12 public drop-in sessions held throughout Otago and two online meetings attracting more than 370 people. There were also four targeted stakeholder sessions for specific interest groups from the farming, forestry, territorial authority, and environmental sectors.
More than half the public responses on the LWRP had a focus on farming and forestry activities, while water allocation and activities in the beds of lakes and rivers were also common topics.
Other topics to receive significant feedback were earthworks, damming, discharges of agrichemicals, wetlands, and outstanding waterbodies, says Ms Matthews.
There will be a lot of work in the background in the lead-up to the Council being asked in June to approve the draft LWRP for public notification, after which everyone will be able to get their hands on it.
Introducing Chelsea Donnelly, our brand-new Enviroschools coordinator.
Chelsea lives just outside Alexandra on a lifestyle block with her husband, three sons and a menagerie of animals.
“We attempt to grow some of our own food, sometimes successfully, sometimes not,” she says.
“I am really looking forward to working with the Enviroschools programme after watching the great work that has been achieved in our region inspiring students, teachers, and parents.”
Chelsea is looking forward to growing opportunities for environmental stewardship at her old school, Dunstan High, and spreading the sustainability message through her work with schools in Central Otago.
North Otago Sustainable Land Management (NOSLaM) aims to educate, assist and encourage the North Otago farming community to farm together with sustainable land management objectives and practices.
With 350+ farmer members, 31 riparian sites with 35,800 plants in the ground, 70+ stakeholder groups involved in planting and 480 community volunteer hours every year, NOSLaM are a great catchment group who do a heap of work in our region. They recently teamed up with Otago University’s New Zealand Marine Studies Centre to help educate school children on how keeping their waterways clean affects sea life.
Totara School pupils (from left) Lucy Harrison (13), Kura Ainsley (12), Chelsea Yumo (12), and Amelie Tartonne (12) carry out a Marine Metre Squared study at Kakanui River mouth. Photo: Ashley Smyth
Our soil health monitoring is a long-term programme that samples from a range of sites revisited every five years.
This programme is designed as a ‘canary in the coal mine’ warning system — not only for our primary industries but for everyone who enjoys the outdoors. In Otago, there’s a huge range of elevations, climates and environments. This resulted in the formation of diverse soils — from volcanic soils around Dunedin; wet gley soil in the Taieri Plains to dry, semiarid soils in Central Otago. These have different characteristics, environmental risks and opportunities.
In soil science, ‘young’ is thousands of years old and ‘old’ is hundreds of thousands to millions of years old. While our soils are mostly babies compared to, for example, Australian soils, you’re still time travelling every time you dig a hole.
The programme collects information on the soil’s physical, chemical and biological condition at each sampling site. By including sites of different soil types, land uses and climates, monitoring how these change over time will help us understand where and why changes may be occurring and how to protect this important resource for us and future generations to come.
Some of Erik’s field work in 2023
Our Biosecurity team works hard to prevent new pests from establishing themselves in our region and is currently gathering information on these three pest plants below.
This is where you can help, pest detectives! Let us know if you spot these villains this summer:
Purple loosestrife is a pretty, purple pest that invades damp ground and shallow water, forming impenetrable barriers, destroys habitats, and food sources, and can cause flooding.
Rough horsetail is a reed with an extensive underground stem system that is hard to dig out and herbicide has difficulty penetrating. Its spores are toxic to stock, it spreads quickly, contributes to the deposit of sediment in creeks and streams and can alter the course of water.
Wild ginger produces a ginger-scent, lemon-yellow flowers and is extremely tolerant to shade, drought and frost once established. It is fast growing, seeds easily and can replace all other species where it grows.
Photos: Weedbusters
If you spot purple loosestrife, rough horsetail, or wild ginger, let us know by calling 0800 474 082 or emailing biosecurity@orc.govt.nz with a photo and clear description of the location.
For more information on pest plants we’re trying to reduce in Otago, visit our Pest Hub: orc.govt.nz/pesthub
Ollie and Angus, our two new summer advocates, are tasked with keeping aquatic pests front of mind for those enjoying freshwater recreational activities this summer.
When he’s not out talking to people about preventing pests in our waterways, Wānaka local Ollie can often be found surfing the Hāwea standing wave, while keen fisher Angus is enjoying getting to know Otago’s waterways.
Aquatic pests such as didymo and lagarosiphon can spread very easily between waterways on people’s equipment and vessels, but if boaties, kayakers, paddle boarders, jet skiers and other visitors follow these steps, it will help to minimise that risk:
From Waikouaiti to Wānaka, Clyde to The Catlins and across Dunedin, find information about river levels, rainfall, groundwater and more on ORC’s Environmental Data Portal.
Featuring more than 350 monitoring sites, the portal has comprehensive and up-to-date data when you need it.
Check it out: envdata.orc.govt.nz
Toitū Te Hakapupu is a partnership between ORC and Kāti Huirapa Rūnaka ki Puketeraki, focused on improving the health of the wai (water) in East Otago’s Pleasant River catchment.
The well-underway $5.2 million restoration project comprises $786,000 of ORC funding, supported by nearly $4 million from the Government’s Jobs for Nature programme and a landowner contribution equal to 25% of the value of work completed on their land.
Last year saw a lot of planning come to fruition, with 4.5 km of fencing constructed around waterways and over 22,000 natives planted, thanks to the Aukaha planting team, fencing contractors, landowners and the community.
These efforts will help stabilise riverbanks, exclude stock from waterways and improve the water quality in the catchment.
Data records, as found in the file >
/*
No. 1
The following is a DFT calculation (the ωB97M-V functional and the def2-TZVPD basis) of C7H13BrClNOSi as an isolated structure in a non-equilibrium geometry.

Calculated values
LUMO = 0.574 eV
HOMO-LUMO gap = 0.3915 hartree
E = -101451.142 eV
2S+1 = 1
ΔE to the lowest compared entry with this formula, charge and spin = 0.740 eV

Structure (XYZ):
```
25
Properties=species:S:1:pos:R:3:lowdin_charge:R:1
C 3.3722 0.1275 0.4772 -0.165
H -1.2214 -1.5883 0.4544 0.069
H 4.0115 -0.1880 1.3486 0.080
Cl -3.1839 -1.0937 2.7062 0.484
C 2.0961 -0.7882 0.4295 -0.758
C 1.3858 -0.8516 -0.9778 -0.306
C -2.0382 -0.8955 0.1378 -0.337
N 0.4874 2.0621 -0.4408 0.048
H -3.4964 0.5461 0.9836 0.082
C -0.5495 2.5364 -0.0032 -0.483
O -1.4121 3.0143 0.5998 0.166
C -2.5964 -0.0273 1.3345 -0.599
H -1.9247 -0.6793 -2.0322 0.083
H 2.1995 -0.7044 -1.7475 0.076
H -2.9044 -1.5606 -0.1485 0.103
H -1.8471 0.6864 1.7438 0.025
H 2.4477 -1.8326 0.6552 0.087
Br 0.9278 -0.2708 1.9379 0.722
H 0.2755 0.8762 -2.7546 -0.010
H 0.9622 -1.8717 -1.1904 0.088
H -2.4405 0.8330 -1.2307 0.087
Si 0.1066 0.5242 -1.3237 0.591
H 3.9392 -0.0342 -0.4774 0.081
H 3.1135 1.2009 0.6570 0.068
C -1.7104 -0.0208 -1.1388 -0.282
```

No. 2
The following is a DFT calculation (the ωB97M-V functional and the def2-TZVPD basis) of C9H11NO2S2 as an isolated structure in a non-equilibrium geometry.

Calculated values
LUMO = -0.681 eV
HOMO-LUMO gap = 0.3259 hartree
E = -36763.813 eV
2S+1 = 1
ΔE to the lowest compared entry with this formula, charge and spin = 2.863 eV

Structure (XYZ):
```
25
Properties=species:S:1:pos:R:3:lowdin_charge:R:1
C -0.5144 -0.1568 -4.0241 -0.186
S -0.6094 1.5329 -0.3994 0.726
H -1.0445 -1.5260 2.2057 0.056
N 0.3607 -1.9820 -0.5280 0.209
H -0.9858 -0.9088 -4.6748 0.124
C 1.3031 -0.9310 2.9828 -0.078
C 0.7798 0.1201 0.8705 -0.163
H -1.7879 -0.0504 1.7316 0.066
H 2.0469 -0.1962 3.4296 0.092
H 1.7595 0.6659 0.7975 0.148
O -2.0208 1.2184 -0.1361 -0.338
H -1.6045 -0.3121 3.4833 0.102
C -1.1356 -0.5266 2.5007 -0.078
C 0.2719 0.0077 2.2914 -0.449
H 0.2607 1.0287 2.8774 0.170
C -1.0415 0.1170 -2.7668 -0.151
C 0.5899 -1.0786 0.1499 -0.290
H 1.1817 0.5277 -5.2238 0.078
H -1.9009 -0.2923 -2.2687 0.116
O -0.1796 2.8555 -0.1055 -0.329
C -0.2409 1.0024 -2.0685 -0.647
S 1.1315 1.5259 -2.9891 1.031
C 0.6543 0.4733 -4.2723 -0.388
H 1.8534 -1.5981 2.2894 0.079
H 0.8724 -1.5165 3.8473 0.097
```

No. 3
The following is a DFT calculation (the ωB97M-V functional and the def2-TZVPD basis) of a 6-piece molecular cluster, C6H24O6 overall in a non-equilibrium geometry.

Calculated values
LUMO = 0.347 eV
SMILES string = CO.CO.CO.CO.CO.CO
HOMO-LUMO gap = 0.3744 hartree
E = -18893.131 eV
2S+1 = 1
ΔE to the lowest compared entry with this formula, charge and spin = 3.882 eV

Structure (XYZ):
```
36
Properties=species:S:1:pos:R:3:lowdin_charge:R:1
C -3.7584 -0.1705 0.5451 -0.148
H 4.6778 4.2229 -0.8559 0.077
C -1.0310 -3.1563 2.9973 -0.132
O 4.3553 -2.3980 -0.0789 -0.134
C -0.1333 -0.2324 0.2865 -0.155
*/
Find out more and sign up for updates at orc.govt.nz/tehakapupu
(Quantum chemistry results that have nothing to do with the page)
~~~
[1]
~~~
Ōtepoti Dunedin’s draft Future Development Strategy is now open for consultation.
The Future Development Strategy will:
ORC and the Dunedin City Council are jointly developing the strategy in partnership with mana whenua and supported by Waka Kotahi and Kāinga Ora.
Give us your feedback on the options identified for long-term growth and the infrastructure we need to support it and create well-functioning urban environments — all while achieving the good stuff, such as reducing carbon emissions, building resilience to natural hazards, and protecting and enhancing biodiversity values. There will be public information sessions in early February. Submissions close on 28 February.
For more information, visit dunedin.govt.nz/future-development-strategy